“I enjoy our conversation and the way you make me laugh. I don’t want to ruin a great friendship behind us having sex. We can still be friends,” Tara said.
== Attached: materials data ==
Record 1
Structure and theoretical powder diffractogram of InSb4Au8 (a GGA-PBE-relaxed structure; Cu Kα (weighted mean of Kα1 and Kα2)).
Kinematic intensities with the Lorentz-polarization factor, no thermal factor.

Largest 10 diffraction maxima, low angle first, 10° ≤ 2θ ≤ 80°:
d_spacing	I (rel.)	(hkl)
5.530	51	1 0 0
3.078	88	2 1 0
2.963	94	2 0 1
2.830	62	1 2 -1
2.813	100	1 2 2
2.601	51	1 1 -2
2.394	81	0 0 3
2.278	63	1 3 1
2.175	51	3 1 2
2.099	51	-1 2 1

Structure:
Cell: 6.7381 6.9926 7.8579 Å, 78.49 66.09 61.62°
Fractional coordinates of all 13 atoms:
In 0.0000 0.0000 0.0000
Sb 0.0175 0.3833 0.1785
Sb 0.2782 0.6507 0.3619
Sb 0.7218 0.3493 0.6381
Sb 0.9825 0.6167 0.8215
Au 0.1717 0.2335 0.6451
Au 0.3646 0.7729 0.6545
Au 0.3803 0.0054 0.2946
Au 0.4783 0.7252 0.9899
Au 0.5217 0.2748 0.0101
Au 0.6197 0.9946 0.7054
Au 0.6354 0.2271 0.3455
Au 0.8283 0.7665 0.3549

***

Record 2
Structure and theoretical powder diffractogram of Pr5ErAl2 (a GGA-PBE-relaxed structure; Cu Kα (weighted mean of Kα1 and Kα2)).
Kinematic intensities with the Lorentz-polarization factor, no thermal factor.

Largest 10 diffraction maxima, low angle first, 10° ≤ 2θ ≤ 80°:
d_spacing	I (rel.)	(hkl)
3.870	19	1 0 3
3.452	58	1 0 4
3.071	16	1 0 5
2.742	57	1 0 6
2.732	100	1 1 0
2.142	16	2 0 4
1.935	21	2 0 6
1.686	15	2 1 4
1.623	31	1 1 10
1.578	41	3 0 0

Structure:
Cell: 5.4642 5.4642 20.1821 Å, 90.00 90.00 120.00°
Fractional coordinates of all 16 atoms:
Pr 0.0000 0.0000 0.1548
Pr 0.0000 0.0000 0.3452
Pr 0.0000 0.0000 0.6548
Pr 0.0000 0.0000 0.8452
Pr 0.3333 0.6667 0.0544
Pr 0.3333 0.6667 0.2500
Pr 0.3333 0.6667 0.4456
Pr 0.6667 0.3333 0.5544
Pr 0.6667 0.3333 0.7500
Pr 0.6667 0.3333 0.9456
Er 0.3333 0.6667 0.7500
Er 0.6667 0.3333 0.2500
Al 0.3333 0.6667 0.6022
Al 0.3333 0.6667 0.8978
Al 0.6667 0.3333 0.1022
Al 0.6667 0.3333 0.3978

***

Record 3
Structure and theoretical powder diffractogram of MnAgH (a GGA-PBE-relaxed structure; Cu Kα (weighted mean of Kα1 and Kα2)).
Kinematic intensities with the Lorentz-polarization factor, no thermal factor.

Largest 10 diffraction maxima, low angle first, 10° ≤ 2θ ≤ 80°:
d_spacing	I (rel.)	(hkl)
2.890	42	0 0 12
2.633	54	1 0 3
2.374	73	1 0 7
2.214	100	1 0 9
2.168	32	0 0 16
1.900	56	1 1 2
1.815	22	1 1 6
1.674	30	1 1 10
1.357	28	1 1 18
1.352	21	2 0 0

Structure:
Cell: 2.7040 2.7040 34.6847 Å, 90.00 90.00 90.00°
Fractional coordinates of all 24 atoms:
Mn 0.2413 0.2589 0.1033
Mn 0.2413 0.7411 0.3967
Mn 0.2589 0.2413 0.6467
Mn 0.2589 0.7587 0.8533
Mn 0.7411 0.2413 0.3533
Mn 0.7411 0.7587 0.1467
Mn 0.7587 0.2589 0.8967
Mn 0.7587 0.7411 0.6033
Ag 0.2402 0.2525 0.2137
Ag 0.2402 0.7475 0.2863
Ag 0.2525 0.2402 0.5363
Ag 0.2525 0.7598 0.9637
Ag 0.7475 0.2402 0.4637
Ag 0.7475 0.7598 0.0363
Ag 0.7598 0.2525 0.7863
Ag 0.7598 0.7475 0.7137
H 0.2413 0.2586 0.1535
H 0.2413 0.7414 0.3465
H 0.2586 0.2413 0.5965
H 0.2586 0.7587 0.9035
H 0.7414 0.2413 0.4035
H 0.7414 0.7587 0.0965
H 0.7587 0.2586 0.8465
H 0.7587 0.7414 0.6535

=====
== End of the materials data ==
“No, we aren’t friends and can’t be friends. I love my wife more than life, and if I can get her to forgive me for all of this, then I will never even look in the direction of another woman.”
“I appreciate your commitment to your family. I will be around if you change your mind.”
“I won’t. Take care.”
I stood from the table and put down enough money to cover our drinks and a tip then I left.
“I’m coming over as soon as I get off work. Is Ken there already?” Averie asked.
I looked over at my youngest sister pouring her second or third, I lost count, shot of tequila.
“Yeah, she’s here. We will be here when you get here.”
“Alright, give me another hour or so,” Averie responded.
“Okay, bye.”
I tucked my phone in my pocket and accepted the full shot glass from Kenzie. I threw it back then sucked on an orange slice.
“Have you spoken to Reem?” Kenzie asked after sitting next to me on the couch.
This was the longest we’d gone without speaking to each other since we’d met twenty-two years ago. I missed him. I missed sharing with him. I missed talking to him, and I really missed making love to him. I wondered if he was spending time with Tara since he was free to do whatever he wanted. He’d said that it was over between him and Tara, but I wasn’t sure if I believed him.
I’d driven by Kerem’s job and saw his car parked in his space. I’d also driven by the hotel he was staying at and saw his car parked there too. I didn’t know what type of car Tara drove so I didn’t know if her car was there or not.
“I’m thinking about postponing the wedding,” Kenzie announced.
I sat up and looked at Kenzie, expecting to see a smirk or a smile on her face, but I didn’t find either.
“What are you talking about? We have a meeting with Mommy tomorrow to discuss the wedding.”
“That’s why I want to go ahead and make the decision now, so she doesn’t go into hyper mommy-planner mode.”
“The meeting is tomorrow, Ken. I’m sure it’s way too late. Hyper mommy-planner-mode is already in full effect,” I explained.
Kenzie shrugged and took another shot of tequila.
“Why would you want to do that? You and Travis are so in love with each other.”
“Exactly! I thought you and Reem were so in love too, but look at what happened! If y’all can’t make it, Travis and I have no hope.”
“That’s not true, Ken! Why would you say that?”
“Because it’s true! Travis and I have looked up to y’all’s relationship since we started ours. I knew your relationship wasn’t perfect, but I’d never thought in a million years that y’all would be here. Who would’ve thought that Reem would do this? He was the poster child for fidelity. This has thrown me into a tailspin, and I can’t figure out which way is up. I don’t want to make a mistake. We can wait.” Kenzie finished.
“Have you talked to Travis about this?” I asked.
“No, not yet,” Kenzie responded.
“Ken, please don’t make that decision because of my situation. I know all of this is messed up. I know that none of this makes sense, but in all of this chaos, you and Travis make all the sense in the world. I want to see my baby sister all dolled up walking down the aisle to a man that loves her, a man that I know will take care of her.”
“I thought that’s what I saw at your wedding! Do you remember how hard I cried?” Kenzie questioned.